Constructed Wetlands Competence Centre

Constructed Wetlands are man-made treatment systems that use natural processes which include wetland vegetation, soils, and their associated microbial assemblages to improve water quality. They are applied to sites for the treatment of sewage, wastewater from oil and gas facilities, industrial effluents, sludge, storm water, grey water, agricultural runoff and eutrophic lakes.
Constructed wetlands are a cost-effective and technically feasible approach for treating wastewater. Advantages of wetlands include cost-effectiveness over traditional wastewater processes, low operating and maintenance expenses and effective management of fluctuations in inflow quality and quantity. They are also more aesthetically pleasing and can reduce or eliminate unpleasant odours associated with wastewater.
Oman’s Constructed Wetland Competence Centre is a hub of BAUER Nimr LLC’s specialised expertise based in Muscat. The Constructed Wetland Competence Centre works globally to develop natural wastewater treatment systems for the BAUER Group. The centre is at the forefront of innovative wetland design and construction to develop natural treatment solutions specific to project and client requirements.
Through our Research and Development (R&D) activities there is continuous growth in general improvement and technology. A current focus area is maximising the reuse of treated industrial and sewage water from our constructed wetlands for agricultural purposes. Another key focus of the R&D team is minimising the pressure on scarce water resources in arid regions whilst facilitating the beneficial reuse of treated effluent.
Through our Constructed Wetland Competence Centre clients have immediate access to a team of experienced wetland specialists, designers, builders and operators. The centre also boasts an interdisciplinary team of highly qualified and experienced engineers, scientists and economists, all of whom are focused on developing constructed wetland solutions. Depending on the scope of a project, we offer our partners and clients a broad range of targeted services ranging from feasibility studies, design and construction through to maintenance and training.

Waste Management Services

BAUER Nimr LLC values exceptional service provision. In partnerships with various municipalities and private firms across the Sultanate BAUER Nimr is working to create safe and sustainable environments for residents and local businesses.
Not only are we Oman’s leading environmental services company, we are also devoted community partners. We pride ourselves in working with municipalities and private businesses to lower expenses whilst maintaining a high level of service. Working together as a team, we strive to preserve health, promote sustainability and keep public spaces clean and litter-free for citizens to enjoy.
BAUER Nimr offers a complete range of waste management services ranging from consulting, feasibility studies, engineering, design and construction of facilities through to the operation and maintenance of existing plants and assets.
Our unmatched commitment to effective waste management services has diverted over 60% of waste from landfill disposal. To support the Sultanate’s initiative and diversion goals, BAUER Nimnr aims to raise this to 90% in a short period of time.
We have studiously put together a team of highly trained and experienced drivers and technicians whose sole function is to support the company in preserving a high level of customer service in the collection and disposal of waste. We have an impressive record of health and safety delivery whilst maintaining a high standard of quality compliance to ISO standards. This ensures that BAUER Nimr produces robust, environmentally-friendly solutions that suit our clients requirements along with the added value of economic viability and, most importantly of all, our ethical work methods and social responsibility.
Hydrocarbon Contaminated Soil Bioremediation

BAUER Nimr LLC offers a vast array of treatment technologies that address the environmental and economic issues companies experience when disposing of hazardous and non-hazardous wastes, contaminated soil and dredged material.
But what makes us different?
Based on the vast experience of our specialised staff we know that every project is unique and we treat it that way. BAUER Nimr has successfully remediated more than 500,000 tons of hydrocarbon-contaminated soils in Oman since 2011. Our bioremediation system solutions are natural, green and cost-effective alternatives using micro-organisms that exist inherently in the surrounding environment.
As Oman’s leading provider of hydrocarbon contaminated soil bioremediation solutions, BAUER Nimr has created a streamlined and highly-effective solids and fluid treatment system that provides the oil and gas industry with additional sustainable waste options. BAUER’s German research facilities have developed a system that ensures reliable treatment methods that help producers to conscientiously and economically manage the solid and fluid waste generated from drilling and production operations.
The combination of our various technologies, locations, and experienced team will result in a soil treatment and recycling or disposal plan that is tailored specifically to work in the client’s project site. Our bioremediation solutions are designed, and constantly monitored, to work with local conditions and enhance the natural cleaning processes.
Whether it is light or highly hazardous contamination, our array of proven treatment technologies are uniquely specific to our clients’ needs.

Naturally Occurring Radioactive Materials (NORM)

## Here the entry breaks off for data records
........
Record 1
74
Properties=species:S:1:pos:R:3:forces:R:3:mulliken_charge:R:1 method="wB97M-V/def2-TZVPD" gap_ev=5.4 lumo_ev=0.37 energy_ha=-2885.254728 relative_energy_kcal_mol=0.0 total_charge=-1 homo_ev=-5.062
C 2.9826 1.3231 1.4437 -0.46 -0.56 -0.73 -1.08
C 2.6856 -0.2665 1.6191 -1.28 1.63 -0.87 0.30
Cl 3.7520 -1.0811 0.3107 0.00 0.21 1.00 -0.31
C 1.1661 -0.5285 1.1717 0.53 0.29 -0.62 -1.01
In -0.2316 -1.1469 2.8342 -0.34 -0.16 0.31 0.74
C -2.3359 -1.2994 1.9202 -0.88 -0.89 -0.16 -1.19
C -2.3233 -1.3112 0.3136 1.32 0.02 1.07 0.28
S -3.1110 0.2328 -0.4478 1.06 0.71 1.23 -0.16
C -2.5433 1.5656 0.7122 -2.41 -0.10 1.73 0.21
N -3.4729 2.0550 1.6941 6.08 -0.47 -3.42 -0.24
N -2.6952 2.9683 2.3703 4.14 0.98 -1.14 -0.38
C -1.3813 3.0553 1.8455 -4.20 -1.73 0.33 -0.01
O -1.2591 2.1338 0.7539 -2.99 0.74 2.10 -0.04
H 2.5798 1.5838 0.3955 0.72 -0.38 1.52 0.24
H 4.0944 1.5704 1.4447 -1.47 -0.27 0.35 0.32
H 2.3661 1.9516 2.1777 1.04 -1.01 -0.73 0.25
H 2.9490 -0.6345 2.6627 -0.06 0.20 -1.64 0.36
H 0.7692 0.4556 0.7460 0.53 -1.27 0.43 0.09
H 1.1266 -1.2845 0.2989 0.17 1.11 1.50 0.38
H -0.2789 0.0007 4.2312 0.10 -0.04 -0.38 -0.38
H 0.1846 -2.7639 3.5392 -0.01 0.29 -0.29 -0.37
H -3.0542 -0.5396 2.3847 0.91 -0.97 -0.92 0.35
H -2.7270 -2.3383 2.2502 0.52 1.58 -0.47 0.35
H -2.8342 -2.2562 -0.0874 0.56 1.74 0.30 -0.17
H -1.2273 -1.2745 -0.0479 -1.83 -0.27 0.34 0.16
H -0.4951 3.6920 2.1946 -1.68 -1.30 -0.72 0.33
C 1.8315 5.4029 -1.6020 0.17 0.11 0.05 -0.70
C 1.8637 4.6717 -0.4167 0.13 0.10 0.09 -0.36
C 2.8556 4.9173 0.5264 -0.20 -0.09 -0.07 -0.44
C 3.8269 5.8882 0.2813 -0.27 -0.13 -0.21 -0.03
C 3.8087 6.6035 -0.9169 -0.25 -0.18 -0.03 0.19
C 2.8016 6.3666 -1.8535 -0.18 -0.16 -0.01 -0.56
C 4.8617 7.6017 -1.2116 -0.14 0.39 -0.82 0.67
O 4.8450 8.2302 -2.2565 0.05 -0.11 0.26 -0.68
C 5.9410 7.8191 -0.2212 0.36 0.12 0.19 0.13
C 6.9719 8.7145 -0.5094 0.23 0.10 0.13 -0.54
C 7.9825 8.9349 0.4201 -0.20 -0.09 -0.07 -0.45
C 7.9625 8.2695 1.6439 -0.18 -0.10 -0.05 -0.46
C 6.9404 7.3727 1.9325 0.21 0.14 0.01 -0.52
C 5.9325 7.1385 0.9961 0.34 0.25 0.01 0.20
C 4.8680 6.1548 1.2990 -0.12 -0.58 0.84 0.45
O 4.8528 5.5695 2.3678 0.05 0.22 -0.29 -0.67
H 1.0518 5.2168 -2.3333 0.08 0.02 0.08 0.41
H 1.1133 3.9105 -0.2269 0.09 0.04 -0.03 0.66
H 2.8715 4.3474 1.4500 0.14 0.14 -0.08 0.53
H 2.7743 6.9291 -2.7811 0.15 0.00 0.17 0.45
H 6.9919 9.2386 -1.4595 -0.17 -0.14 0.09 0.45
H 8.7860 9.6278 0.1917 -0.09 -0.07 0.01 0.39
H 8.7476 8.4473 2.3719 -0.08 -0.03 -0.07 0.39
H 6.9327 6.8536 2.8856 -0.15 -0.03 -0.19 0.46
C -4.1179 -3.3867 -1.9326 -0.04 -0.22 -0.11 -0.67
C -5.4004 -3.4150 -1.3891 -0.03 -0.20 0.00 -0.39
C -5.9998 -4.6310 -1.0815 0.04 0.25 -0.02 -0.66
C -5.3222 -5.8253 -1.3280 0.06 0.29 -0.07 0.19
C -4.0472 -5.7977 -1.8950 -0.08 0.33 0.04 0.17
C -3.4415 -4.5747 -2.1863 -0.07 0.20 -0.01 -0.49
C -3.3370 -7.0586 -2.2075 0.88 0.19 -0.36 0.49
O -2.2223 -7.0364 -2.6995 -0.30 -0.08 0.10 -0.67
C -4.0062 -8.3484 -1.9211 -0.12 -0.43 0.02 0.20
C -3.3739 -9.5446 -2.2627 -0.05 -0.27 0.02 -0.53
........
## Back to the entry

By their very nature, hazardous wastes pose a very real risk to the environment that surrounds us. It is increasingly vital to establish protocols to ensure all hazardous waste materials are properly handled and treated.
Acting as consultants to a cross-section of companies in the oil and gas industry, BAUER Nimr LLC provides full-service environmental management strategies. Specializing in the areas of Naturally Occurring Radioactive Materials (NORM) it is our mission to give our clients the capability to cost effectively protect their workers and facilities as well as the public and the environment from the adverse effects of radioactive materials.
Tailored to the specific needs of each client, our professional services provide cost-effective, sustainable NORM and environmental management solutions that reduce environmental liabilities and meet, or exceed, regulatory requirements.
Staffed with industry professionals recognized for their professionalism and track-records, BAUER Nimr gives clients a wealth of experience from projects around the world. By being able to efficiently address the unique and diverse challenges associated with NORM, so there is a drastic increase in effective time management that also results in financial savings.
BAUER Nimr offers turnkey solutions for the management of NORM in oil and gas operations as well as manufacturing and municipality facilities.
- Risk assessment and feasibility studies
- Radiation protection services
- NORM awareness training
- Process design
- Procedures and Protocol
- Personal dosimeter and calibration services
- Consultancy for NORM waste treatment, storage and disposal
- NORM monitoring
- Classification
- Documentation
- Sampling for NORM
- Transport
- Segregation
- Descaling /Decontamination
- Processing
- Conditioning
- Packaging
- Radiation measurement
- Clearance measurement
- Radiological analysis
- Documentation
- Tagging
- Transport
- Treatment of sludge and scales
- Disposal